Meditation: January 22

“It shall come to pass that before they call, I will answer; and while they are still speaking, I will hear” (Isaiah 65:24). 

God anticipates the call or the cry of His children. He readily responds to their sincere hearts with the very best remedy to their deepest needs. They are the ones who are full of questions in need of answers. Most of their questions are too difficult to effectively communicate in words; but God is not looking for the articulate, He seeks out the sincere. He looks into the far distant future while a prayer is in the formative stage and releases from heaven the answer that reaches him on schedule. He does not wait for an intellectual grasp of the concepts to start the supplicant on his own way out of his ditch of confusion. No! He listens to his thoughts that are connected to his heart. What He hears is what they intend, rather than merely say. While they were yet speaking, the Lord stops them in the middle of their sentences and calms their anxieties and fears by letting them know that He understands. His listening ear is the result of His understanding heart. The Lord will hear the calls of those whose hearts are perfect towards Him. 

Meditation: January 21

“It shall come to pass that before they call, I will answer; and while they are still speaking, I will hear” (Isaiah 65:24). 

God anticipates the call or the cry of His children. He readily responds to their sincere hearts with the very best remedy to their deepest needs. They are the ones who are full of questions in need of answers. Most of their questions are too difficult to effectively communicate in words; but God is not looking for the articulate, He seeks out the sincere. He looks into the far distant future while a prayer is in the formative stage and releases from heaven the answer that reaches him on schedule. He does not wait for an intellectual grasp of the concepts to start the supplicant on his own way out of his ditch of confusion. No! He listens to his thoughts that are connected to his heart. What He hears is what they intend, rather than merely say. While they were yet speaking, the Lord stops them in the middle of their sentences and calms their anxieties and fears by letting them know that He understands. His listening ear is the result of His understanding heart. The Lord will hear the calls of those whose hearts are perfect towards Him. 

Meditation: January 20

“Known to God from eternity are all His works” (Acts 15:18-19). 

What may appear as a difficulty or even defeat for many who are engaged in the works of God is no more than a part of a sentence in a complete story. The script has been written and complete while each has entered onto the stage with an assignment. It is only when everything comes together as the Author has prearranged, will we fully understand the significance of portions that do not seem to make any sense. “Known to God from eternity are all His works.” God has always known what He is about to do next in time because it is already established in eternity. This little stretch of time, in the vastness of eternity, is like a little boat in the sea. There is much more to life than we have been given to know and understand. That is why life often doesn’t make sense. Some would think that God doesn’t make any sense because their judgments of Him are based upon the little knowledge made known to man. God’s will is that we participate with Him in what He is doing. There we will find both rest and peace. There is an eternal purpose, a God-given task with which the sons of men ought to be occupied. As we are faithful to align ourselves with His will, He will then show us from His perspective more of what He is all about. All is contained in Jesus Christ, His Son. 

Meditation: January 19

“Behold, I am the Lord, the God of all flesh. Is there anything too hard for Me?” (Jeremiah 32:27). 

Impossibilities are not a part of the language of God. The finite mind stretches to its limits in understanding which are far below God’s abilities. For God made man as much as He has made all things. He has full knowledge of how they function and their purpose for He is the Lord, that is His name. Therefore, they were created to bring Him pleasure and give Him glory. The flesh puts forth its best effort to rule. Even though one’s flesh may feel its liberty to rule over another’s flesh, the Lord is the God over all flesh. Every being and every thing on the face of the earth is under His jurisdictional rule. Men usually equate both failures and successes on the basis of their own experiences. They cannot see nor understand that God has no limits. He reveals Himself to them and asks them a rhetorical question. He addresses them as one who would otherwise think of Him as a man would think of another man. “Is anything too hard for Me?” Only those who have come to know Him intimately can rightly respond to His question. They have learned of their own limits and no longer attempt to live their lives without Him. When they face both the simple and the most profound of circumstances, they have learned to fully trust and depend upon the Lord to see them through. 

There are things that man cannot think nor possibly do, but the Lord, who by His name alone, reminds us that all things are subject to Him. He is the Lord over all. In a day when rulers exalt themselves above measure, it becomes difficult for many to conceive of One who is Lord over all. Surely in a hierarchically structured world, there will always appear as though something ought to be higher than that which is being currently considered. 

Meditation; January 18

“For thus says the Lord of hosts: ‘Once more (it is a little while) I will shake heaven and earth, the sea and dry land; and I will shake all nations, and they shall come to the Desire ofAll Nations, and I will fill this temple with glory,’ says the Lord of hosts” (Haggai 2:6-7). 

The people of God were discouraged because God’s presence appeared to be withdrawn from among them. Their temple had been destroyed for over seventy years and the workers who would rebuild it had become weakened and wearied. There are times when it may appear as if God is silent and all hope is lost; then God gives us a prophetic message that He will restore all who put their trust in Him while all things that others relied upon will be shaken. There will be signs in heaven and signs upon the earth. Strange phenomena will happen so that the nations of the earth will be forced to look beyond themselves for help. Then there will be people of all walks of life that will look in our direction because our eyes will be constantly focused upon Him. Only the Church of the Living God, where the message of Jesus Christ is heard, will provide a sanctuary for the bewildered souls who opted to trust in other things rather than in God. Nations or people-groups will be shaken so that God’s original intent may be established among them. Then His “glory will fill this temple” says the Lord of Hosts. 

Meditation: January 17

“For if you remain completely silent at this time, relief and deliverance will arise for the Jews from another place, but you and your father’s house will perish. Yet who knows whether you have come to the kingdom for such a time as this?” (Esther 4:14). 

• Calculated crystals from another source follow:
'''
A plane-wave DFT calculation with PBE-GGA was carried out for an optimized crystal structure of Ac2Sm3Y2.

Properties
- final energy (eV for the cell shown) = -35.01
- formation enthalpy at 0 K (meV/atom) = 41
- total magnetic moment (Bohr magnetons per cell) = 0.00
- calculated volume (Å³/atom) = 36.64

abc: 3.7151 9.1880 10.3301
angles: 119.81 57.33 101.61
Fractional positions:
Ac 0.9179 0.1654 0.4440
Ac 0.0821 0.8346 0.5560
Sm 0.0000 0.0000 0.0000
Sm 0.2117 0.5755 0.7175
Sm 0.7883 0.4245 0.2825
Y 0.8108 0.3013 0.8934
'''
• The article goes on:

God’s desire is to raise a people to meet the challenges of the times. It is not enough to have bodies occupying time and space, but there are many who are in bondage and in need of relief and deliverance. They need to be relieved of the pressures that are brought to bear against them and experience deliverance in order to enjoy the freedom that can only come from the Lord. Every need is to be met by a people who are spiritually aligned to hear what the Lord is saying. Their obedience in acting will affect the lives of the people to whom they have been sent. If they remain silent and still, God will yet hear the cries of His people. Those who seek Him for help will not have their prayers left unanswered. Those opting out of offering assistance would merely eliminate themselves from His divine plan. He is seeking those whose hearts are perfect towards Him. Who are the ones and where are the ones who will take up the mantle? Who will be the answer to the prayers of those who are searching for something and someone that is real? 

Meditation: January 16

“And He has made from one blood every nation of men to dwell on all the face of the earth” (Acts 17:26). 

Our common ancestry unites us all into the human species. We are a species of beings to which God has given special attention. All may not be aware of it, but God has given His undivided attention to mankind. All created things have been set in motion to affect him in some way or another. He has been allowed to provide care for every created thing that dwells on the earth. The Dominion Mandate given to Adam is to be given expression through us. We are fearfully and wonderfully made. To understand our physiology would be more than remarkable because, in spite of our significant knowledge, there is much more yet to be discovered. The question as to why we were made remains unanswered and even “unasked’ by modern science which does not delve into thoughts that appear to have no answers. If we are honest with ourselves, deep life questions always lead to the question of God. And if there is any evidence in nature around us or in our human nature that reveals the wonders of God, we are forced to acknowledge His existence. And if He exists, we are compelled to inquire into what He wills for our lives. We occupy both time and space in order to know the Lord and to make Him known. 

Our peace is joined to our mission. We benefit from what we share with others. It is the pride and arrogance on the part of some who refuse to identify with others of the same species, because they see themselves as being better or more advantaged. He divided us into nations as people-groups, yet distance does not change family structures for the care that ought to remain even when we are apart from each other. God’s will is for us to care about others. Our concern must stretch across the borders of the sea, but it must also stretch across the borders of streets. We would be blind to the part we are to play in the lives of others, unless we seek the Lord in order for His love for every nation to flow through us. Conditions can change in our cities, streets, and surrounding neighborhoods as well as in our own lives and families. God’s intentions for humanity are sought by those who profess to know Him. He would allow the Church to give a fuller expression of His love through spiritual unity among believers. Our God is one and the people that dwell on the face of the earth are one people. Thus, there is a singular purpose for the whole of His creation. None are able to function rightly without the knowledge of his/her Creator. Those who refuse to seek after God are left to themselves to discover the true meaning of life and his/her own personal existence. We came from one life-giving Source. Our blood or bloodline is traced all the way back to Adam. Therefore, his sin is our sin because we carry within us the same DNA as his; but God redeemed us 

Meditation: January 15

“And so, after he had patiently endured, he obtained the promise” (Hebrews 6:15). 

The rush towards the promise, without patience to endure the attendant trials, is giving expression to doubt and unbelief. Those careless movements are usually met with disappointments with self as well as with God. Misunderstandings arise concerning God’s character of love and concern when one caves in while engaged in the battle. This happens when Christ is not being seen and known throughout all of the circumstances of life. Faith requires one to believe in God and what He has promised even before the evidence is present. His desire is to reveal Himself through His Word that is able to withstand every crisis met along the way. His Word is truth and can outlive the lies of Satan. The bump in the road was not a roadblock but a stepping stone leading towards the life that lies ahead. There are times when there is nothing left but His promises and pressures. The pressures may try to shroud the promise but the promises are true regardless of the amount of pressure. Perhaps this could be the path of authentic faith being developed within one’s life. Many need to be weaned from the ineffective pop religious messages that create a state of euphoria, directing their confidence towards themselves, rather than towards knowing God. It is not what we escape always, but what we go through that marks the measure of true faith. The promise is on the other side of the challenge. He teaches us to endure whatever may come our way. When we are yet standing firm after the battle is over, we stand in victory before Almighty God. 

Meditation: January 14

“And let us not grow weary while doing good, for in due season we shall reap if we do not lose heart” (Galatians 6:9-10). 

The act that becomes a habit, the habit that equates into a lifestyle of doing good, is the life we have been called to live. We enter into the life and experience of Christ and grow into giving a fuller expression of Christ. It has to do with a new nature of the believer. He focuses his attention on the Lord, Jesus Christ and the Holy Spirit will compel him to do things that are pleasing to the Father. It is easy to begin to feel used and not appreciated by the recipients of your benevolence. There are even times when it may even feel that all of your efforts are in vain, but God has promised benefits to those who would remain faithful. You will first reap the reward of being like Jesus when we see Him as He is, then we will be enabled to enjoy all that God offers throughout eternity. We are being changed to appreciate heavenly things and heaven’s order on the earth so that we are made fit to love God and to enjoy Him forever. 

Meditation: January 13

“Since Jesus went through everything you’re going through and more, learn to think like him” (1Peter 4:1 MSG). 

The aim of Jesus is to teach us what it means to be fully human. There has been made for us a way to understand life from a perspective that is much greater than fallen man is able to see, understand, or express. Jesus Christ’s example demonstrates God’s intentions from the beginning for the whole of humanity. The image of God in man was ravaged and marred by sin leaving him disfigured with only a faint semblance of the original model. But where the first Adam became the personification of man’s rebellion and failures, the last Adam came to restore all that we lost. Every test and challenge was measured against Jesus, yet He did not succumb to the pressure. Jesus went through everything you are now going through and more. There is no way to measure the degree of suffering experienced by Him. Since He has gone through it all, His promise is to be with you while you are going through. He qualifies to lead you through whatever you may face in life. He’s been there. He is well acquainted with your journey. He is here to guide you through every valley and around every landmine that lie ahead. His guidance is accepted by those who are willing to think like Him. Continue to allow His mind to govern your thoughts that your “will” is to wholly please Him.